Guest post by Natalie Jones from
Buying or selling a home is a daunting prospect, even if it isn’t your first venture into the real estate market. There’s long been debate over how much and what exactly you should do before reaching out to a Realtor. Some people advise not doing anything until you find an agent, while others take a different perspective.
Whichever side of the debate you come down on, there are several things a home buyer or seller can definitely do to get the ball rolling before engaging a Realtor. Being prepared means knowing what you want and what you need to do to attain it. Being able to answer some critical questions will help your agent do a better, more targeted job on your behalf.
Know where you’re going
For buyers, the first issue to resolve is to decide where and in what kind of home you want to live. That gives you a starting point from which to base your other preparations. It means spending time assessing your finances and credit situation, visiting open houses, driving through neighborhoods and investigating home prices. Once you’ve found the right kind of home and neighborhood, you can talk to lenders to get an idea of how much you can afford. At that point, an agent can begin to narrow down your search and find good matches based on your financial circumstances and personal preferences.
Do your research
Understanding market conditions is essential whether you’re buying or selling. As a seller, determining a competitive asking price will affect whether you’ll earn a profit and get what you need out of the sale. Research similar homes in your neighborhood to get an idea of current home values and how others are listing their properties. An agent will aid you in settling on a final price based on his or her experience and knowledge of your area.
According to Bo Twerdowsky, a real estate agent with RE/MAX Greater Princeton, home buyers should have narrowed their search criteria as much as possible before contacting an agent. They should have addressed basic questions such as: Where do I want to live? What are my commuting requirements? What is my rough budget for purchasing a home? Do I have a preference for newer homes vs. older? What styles of homes appeal to me? In what areas am I willing to compromise if I can’t find my dream home? An agent can and should help home buyers narrow or broaden their search criteria, but having a starting point is important.
Home sellers should have identified basic requirements before contacting an agent: When do I want to or need to sell my home? Do I see obvious cosmetic or functional issues that should be addressed before listing it? Do I have an expectation of how much I need to net from the sale? Do I have any skeletons in the closet in the way of liens against my home or unresolved property incursion issues?
Home inspection
Selling a home means making sure it’s in good condition and there are no major problems that need to be corrected. The Greater Princeton area is a very competitive market, so it’s important to make sure your home is ready to sell. Bear in mind that hiring a home inspector may be a good idea before you get too far along, so you have time to make repairs.
_Data records, kept here for reference_
/*
No. 1
Starting from the PBE geometry in Alexandria, the XRD peak list of Tl10CdHg6 was calculated for λ = 1.5418 Å (Cu Kα).

Atomic structure:
abc: 9.5702 9.5702 6.4047
angles: 90.00 90.00 120.00
Sites, in units of the cell vectors:
1 Tl 0.0000 0.2764 0.2184
2 Tl 0.0000 0.7236 0.7816
3 Tl 0.2764 0.0000 0.2184
4 Tl 0.2764 0.2764 0.7816
5 Tl 0.3333 0.6667 0.0000
6 Tl 0.3333 0.6667 0.5000
7 Tl 0.6667 0.3333 0.0000
8 Tl 0.6667 0.3333 0.5000
9 Tl 0.7236 0.0000 0.7816
10 Tl 0.7236 0.7236 0.2184
11 Cd 0.0000 0.0000 0.5000
12 Hg 0.0000 0.3772 0.7231
13 Hg 0.0000 0.6228 0.2769
14 Hg 0.3772 0.0000 0.7231
15 Hg 0.3772 0.3772 0.2769
16 Hg 0.6228 0.0000 0.2769
17 Hg 0.6228 0.6228 0.7231

Largest 8 diffraction maxima, most intense first, 2θ from 5° to 70°:
- 33.68°, rel. 100.0
- 32.41°, rel. 93.4
- 31.80°, rel. 59.4
- 47.43°, rel. 28.5
- 58.62°, rel. 18.6
- 41.75°, rel. 17.0
- 67.63°, rel. 16.0
- 64.24°, rel. 14.6


No. 2
Starting from the PBE geometry in Alexandria, the XRD peak list of KNa2PuO5 was calculated for λ = 1.5418 Å (Cu Kα).

Atomic structure:
abc: 6.6385 6.6385 6.6385
angles: 141.98 126.07 67.88
Sites, in units of the cell vectors:
1 K 0.0000 0.0000 0.0000
2 Na 0.2764 0.7764 0.5000
3 Na 0.7236 0.2236 0.5000
4 Pu 0.5000 0.5000 0.0000
5 O 0.1480 0.3734 0.7745
6 O 0.4011 0.6266 0.7745
7 O 0.5000 0.0000 0.5000
8 O 0.5989 0.3734 0.2255
9 O 0.8520 0.6266 0.2255

Largest 8 diffraction maxima, most intense first, 2θ from 5° to 70°:
- 16.78°, rel. 100.0
- 30.18°, rel. 91.0
- 16.09°, rel. 65.9
- 22.08°, rel. 48.8
- 25.36°, rel. 36.2
- 41.72°, rel. 34.8
- 44.60°, rel. 25.3
- 33.94°, rel. 21.9


No. 3
Starting from the PBE geometry in Alexandria, the XRD peak list of Nd5Sm5Bi6 was calculated for λ = 1.5418 Å (Cu Kα).

Atomic structure:
abc: 6.5518 9.4747 9.4747
angles: 120.16 90.00 90.00
Sites, in units of the cell vectors:
1 Nd 0.0000 0.0000 0.0000
2 Nd 0.2500 0.5789 0.9115
3 Nd 0.2500 0.9115 0.5789
4 Nd 0.7500 0.5789 0.9115
5 Nd 0.7500 0.9115 0.5789
6 Sm 0.0000 0.2447 0.4916
7 Sm 0.0000 0.4916 0.2447
8 Sm 0.5000 0.2453 0.9981
9 Sm 0.5000 0.4896 0.4896
10 Sm 0.5000 0.9981 0.2453
11 Bi 0.0000 0.2464 0.8585
12 Bi 0.0000 0.6295 0.6295
13 Bi 0.0000 0.8585 0.2464
14 Bi 0.5000 0.2450 0.6307
15 Bi 0.5000 0.6307 0.2450
16 Bi 0.5000 0.8591 0.8591

Largest 8 diffraction maxima, most intense first, 2θ from 5° to 70°:
- 31.95°, rel. 100.0
- 33.26°, rel. 76.8
- 32.77°, rel. 56.4
- 51.17°, rel. 28.4
- 27.22°, rel. 25.2
- 28.81°, rel. 21.7
- 47.39°, rel. 18.9
- 56.15°, rel. 15.1


No. 4
Starting from the PBE geometry in Alexandria, the XRD peak list of Tb6Sm2Dy3 was calculated for λ = 1.5418 Å (Cu Kα).

Atomic structure:
abc: 32.0409 32.0409 32.0409
angles: 6.38 6.38 6.38
Sites, in units of the cell vectors:
1 Tb 0.0903 0.0903 0.0903
2 Tb 0.1817 0.1817 0.1817
3 Tb 0.3634 0.3634 0.3634
4 Tb 0.6366 0.6366 0.6366
5 Tb 0.8183 0.8183 0.8183
6 Tb 0.9097 0.9097 0.9097
7 Sm 0.4543 0.4543 0.4543
8 Sm 0.5457 0.5457 0.5457
9 Dy 0.0000 0.0000 0.0000
10 Dy 0.2731 0.2731 0.2731
*/
According to HomeAdvisor, the average cost to hire a home inspector is between $350 and $495 in Princeton. Potential buyers will take a very close look at your property, and until they’re satisfied, they are not buying a home with significant physical problems. However, talk to an agent before making any major discretionary renovations.
Bo Twerdowsky notes that if improvements are to repair existing conditions such as mending a deck or replacing cracked tile, the homeowners can do those prior to contacting an agent. But consult with your agent before whole-scale renovations such as upgrading an entire kitchen. Sometimes such costly renovations will not factor into the final price of the home and can be skipped or reduced in scope.
It’s important to be well prepared when you enter the housing market. A Realtor can advise you on many key points, but there are several things you can do beforehand so you’re prepared to act on an agent’s advice.